Orthodox Icons: History & Meaning - Russian Icon Collection
Orthodox icons

Orthodox Icons: History & Meaning

What are Eastern Orthodox Church icons? In a nutshell, they are specific works of religious icon art (in most cases, represented by paintings depicting Jesus Christ, the Mother of God, saints, archangels, events from Church history, scenes from the Bible, holy traditions, and theological concepts) that play an essential role in Orthodox Christian faith.


The first religious icons, or rather the first images with common symbols of Christian meaning, date back to around 150 – 200 A.D. These unique antique icons were discovered by archeologists in the catacombs of Rome. However, the history of religious icons goes back even further as very similar images were also found in the Holy Temple and some synagogues in Jerusalem. According to Church tradition, the first Orthodox icon depicting the Virgin Mary and Christ was painted by the Evangelist Luke, the author of the Book of Acts and the Gospel of Luke. Today, it is known as the Theotokos of Vladimir and located in the Tretyakov Gallery in Moscow, Russia.

Importance of incarnation

Eastern Orthodox Church icons are probably the most important statement about the God’s nature. The fact is that before Jesus Christ came to earth as a flesh-and-blood person, God couldn’t be depicted. Thus, His incarnation into a human being gave people an opportunity to depict God Himself. For today, Orthodox Christianity icons of Jesus Christ are another proof that He became one of us.


Hand-painted Orthodox icons are usually called “windows into heaven.” The fact is that it is believed that religious icons connect us with the spiritual world. They don’t just depict holy persons or some facts and scenes from the Bible but also reveal the spiritual truth about the depicting subject via numerous meaningful symbols inherent to the religious icon art. This is directly related to the tradition of kissing Orthodox icons. This action is not an expression of love for the religious icon – it is an expression of love for the holy person depicted.

Orthodox icons are not idols

As it is written above, Orthodox Christians don’t worship religious icons. Moreover, they don’t worship the saints. What they do is they honor and venerate them, as well as ask for their prayers. All love directed at the saints is ultimately love aimed at God. 

Destruction and restoration of religious icons

### Between two parts of the text: calculated crystals
┌──
Diffraction record for Mg3Cu2Se7. The X-ray powder pattern is computed, not measured: it uses a GGA-PBE-relaxed structure and a wavelength of 1.5418 Å.
Kinematic intensities with the Lorentz-polarization factor, no thermal factor.

```
data_Mg3Cu2Se7
_chemical_formula_sum 'Mg3 Cu2 Se7'
_cell_length_a 12.9435
_cell_length_b 12.9435
_cell_length_c 12.9435
_cell_angle_alpha 23.37
_cell_angle_beta 23.37
_cell_angle_gamma 23.37
_space_group_name_H-M_alt 'P 1'
_space_group_IT_number 1
loop_
_space_group_symop_operation_xyz
'x,y,z'
loop_
_atom_site_label
_atom_site_type_symbol
_atom_site_fract_x
_atom_site_fract_y
_atom_site_fract_z
Mg1 Mg 0.0000 0.0000 0.0000
Mg2 Mg 0.1957 0.1957 0.1957
Mg3 Mg 0.8043 0.8043 0.8043
Cu1 Cu 0.3178 0.3178 0.3178
Cu2 Cu 0.6822 0.6822 0.6822
Se1 Se 0.0763 0.5704 0.5704
Se2 Se 0.4296 0.4296 0.9237
Se3 Se 0.4296 0.9237 0.4296
Se4 Se 0.5000 0.5000 0.5000
Se5 Se 0.5704 0.0763 0.5704
Se6 Se 0.5704 0.5704 0.0763
Se7 Se 0.9237 0.4296 0.4296
```

Main lines, in order of falling intensity (10 to 80 degrees two-theta):
- 2.420 Å, intensity 100
- 4.508 Å, intensity 97
- 2.092 Å, intensity 63
- 2.046 Å, intensity 49
- 3.146 Å, intensity 47
- 6.292 Å, intensity 45
└──

The first period of iconoclasm (the destruction of religious icons and monuments) began around the year 730 A.D. However, after the Seventh Ecumenical Council that took place in Nicaea in 787 A.D., the icons were recognized as essential to the Christian faith thanks to Iconodules who defended the place of religious icon paintings in the Church and fought against those laws. The second period of iconoclasm (813 – 843 A.D.) ended with the Triumph of Orthodoxy when the religious icons were finally restored. This event is currently celebrated on the first Sunday of Great Lent each year.

Nowadays, Eastern Orthodox Church icons are still a very important part of Orthodox Christian faith. They are truly sacred images, not for nothing called “windows into heaven.” Therefore, at Russian Icon, we are very proud to present you our unique collection of rare museum-quality Russian icons and other essential religious artifacts for sale!